I would have thought five was too young for eye rolling.
“Do you think you can convince your mom to take you out for ice cream after school?”
“What if she says no?”
He had a point, today was her first day back to work since the kidnapping, and more stressfully, Chase’s first day back at daycare.
“Tell her you think it’ll cheer her up.” It might work, today would be stressful and she wouldn’t want to say no to him.
“It’ll cheer me up.” He sounded gleeful at the idea of getting more ice cream.
“Ice cream cheers everyone up.” We agreed he’d ask to go to his favorite ice cream shop right after school, and I’d meet them there.
“Chase?” I pulled him close, so he was standing between my legs, and we were eye to eye. “Can you keep this a secret? I want to surprise your mommy.”
“I can, Mr. Doug.” He crossed his heart.
“Good boy.” I ruffled his hair which made him squirm away.
“I’m a little man.” He put his hands on his hips and tried to make himself taller.
“Yeah, you are. Come here.” The tension in my shoulders relaxed for the first time in days as I pulled him into a hug.
I looked at my watch, two-eleven. Beth would be here to pick up Chase in fifty minutes. I had to hurry. I walked a much happier Chase back to the group before talking to Angela.
“We want to surprise Beth. Please don’t mention I was here,” I said.
Thankfully, she agreed without hesitation.
I waved goodbye to Chase.Please God, don’t let this backfire. If it did, Chase would be devastated.
So will I.
I jogged across the street to my truck and drove directly to the florists where I picked out the biggest bouquet of red roses they had. I asked the florist to wrap it in a ribbon and skipped the card. My plan was to tell her how I felt, not slip her a note.
I got to the ice cream shop ten minutes before I expected Beth and Chase to arrive.
Hoping to see them before they walked in, I chose a booth allowing me a view of the door and the big picture windows facing the sidewalk.
Every second I waited felt like an hour in hell. I second-guessed every detail of the plan. Was it wrong to ambush her like this? Was I a bad person for getting Chase involved? Would Chase tell her I’d be here? Would she be so pissed she wouldn’t listen to me?
Fifteen minutes of self-inflicted torture ticked by before I saw Chase dragging Beth to the door.She looks tired.
Maybe this wasn’t such a good idea.
........
# 1
A relaxed AcLaMgHg crystal, computed with PBE.

Unit cell a=4.0207 b=4.0207 c=7.9630 alpha=90.00 beta=90.00 gamma=90.00
Space group P4mm (No. 99)
Inequivalent atoms, fractional coordinates:
Ac 0.0000 0.0000 0.0000 x1
La 0.0000 0.0000 0.5063 x1
Mg 0.5000 0.5000 0.2674 x1
Hg 0.5000 0.5000 0.7327 x1

Calculated values
Electronic total energy = -3.0184 eV/atom
ΔE to the lowest computed polymorph = 0.00 kcal/mol of atoms
Energy relative to the elements = -0.285 eV per atom
Crystal system = tetragonal
Magnetization = 0.00 μB/cell



# 2
A relaxed AcLa2MgHg4 crystal, computed with PBE.

Unit cell a=5.3580 b=5.3580 c=28.1829 alpha=90.00 beta=90.00 gamma=120.00
Space group R-3m (No. 166, hexagonal axes)
Inequivalent atoms, fractional coordinates:
Ac 0.0000 0.0000 0.0000 x3
La 0.0000 0.0000 0.2399 x6
Mg 0.0000 0.0000 0.5000 x3
Hg 0.0000 0.0000 0.1266 x6
Hg 0.0000 0.0000 0.3820 x6

Calculated values
Electronic total energy = -2.5512 eV/atom
Energy relative to the elements = -0.456 eV per atom
Crystal system = trigonal
Magnetization = 0.00 μB/cell



# 3
A relaxed AcLaMgHg crystal, computed with PBE.

Unit cell a=8.0079 b=8.0079 c=8.0079 alpha=90.00 beta=90.00 gamma=90.00
Space group F-43m (No. 216)
Inequivalent atoms, fractional coordinates:
Ac 0.0000 0.0000 0.0000 x4
La 0.0000 0.0000 0.5000 x4
Mg 0.2500 0.2500 0.7500 x4
Hg 0.2500 0.2500 0.2500 x4

Calculated values
Electronic total energy = -2.9921 eV/atom
ΔE to the lowest computed polymorph = 0.60 kcal/mol of atoms
Energy relative to the elements = -0.259 eV per atom
Crystal system = cubic
Magnetization = 0.01 μB/cell



# 4
A relaxed AcLa2HgN crystal, computed with PBE.

Unit cell a=5.1159 b=5.1159 c=5.3376 alpha=90.00 beta=90.00 gamma=90.00
Space group P4/mmm (No. 123)
Inequivalent atoms, fractional coordinates:
Ac 0.0000 0.0000 0.0000 x1
La 0.0000 0.5000 0.5000 x2
Hg 0.5000 0.5000 0.0000 x1
N 0.0000 0.0000 0.5000 x1

Calculated values
Electronic total energy = -5.2437 eV/atom
E_form (uncorrected) = -0.73 eV/atom
Crystal system = tetragonal
Magnetization = 0.00 μB/cell



# 5
A relaxed Ac3LaHg2N crystal, computed with PBE.

Unit cell a=5.2077 b=5.3433 c=16.0320 alpha=90.00 beta=90.00 gamma=90.00
Space group Immm (No. 71)
Inequivalent atoms, fractional coordinates:
Ac 0.0000 0.0000 0.0000 x2
Ac 0.0000 0.5000 0.1703 x4
La 0.0000 0.0000 0.5000 x2
Hg 0.0000 0.5000 0.3715 x4
N 0.0000 0.5000 0.0000 x2

Calculated values
Electronic total energy = -4.3551 eV/atom
E_form (uncorrected) = -0.61 eV/atom
Crystal system = orthorhombic
Magnetization = 0.00 μB/cell



# 6
A relaxed AcLaHgN crystal, computed with PBE.

Unit cell a=3.9538 b=4.0628 c=14.2127 alpha=90.00 beta=90.00 gamma=90.00
Space group Imm2 (No. 44)
Inequivalent atoms, fractional coordinates:
Ac 0.0000 0.0000 0.0000 x2
La 0.0000 0.0000 0.3071 x2
Hg 0.0000 0.0000 0.6571 x2
N 0.0000 0.5000 0.8986 x2

Calculated values
Electronic total energy = -5.2376 eV/atom
E_form (uncorrected) = -0.82 eV/atom
Crystal system = orthorhombic
........
Too late now.She’d seen me and was shaking her head back and forth in disbelief.
I stood up, holding the flowers by my hip. The huge bouquet made a statement, but it wasn’t the only statement being made today.
“Look Mommy, it’s Mr. Doug.” Chase’s high-pitched voice drew a lot of attention.
Data records from another source follow:
____________
[1]
5
Lattice="3.611 0.000 0.000 0.000 3.611 0.000 0.000 0.000 5.255" Properties=species:S:1:pos:R:3 comment="VCuPO2 (PBE with a Hubbard U, relaxed)" spacegroup=P4/mmm relative_energy_ev_per_atom=0.0000 dft_energy_ev_per_atom=-6.007 rho_g_cm3=4.3 pbc="T T T"
V 0.000 0.000 0.000
Cu 1.806 1.806 2.627
P 0.000 0.000 2.627
O 0.000 1.806 0.000
O 1.806 0.000 0.000



[2]
36
Lattice="4.295 2.480 7.004 -4.295 2.480 7.004 0.000 -4.959 7.004" Properties=species:S:1:pos:R:3 comment="V2CuP3O12 (PBE with a Hubbard U, relaxed)" spacegroup=R-3c dft_energy_ev_per_atom=-7.243 rho_g_cm3=3.3 pbc="T T T"
V 0.000 0.000 2.984
V 0.000 0.000 7.521
V 0.000 0.000 13.490
V 0.000 0.000 18.026
Cu 0.000 0.000 0.000
Cu 0.000 0.000 10.505
P -3.047 -0.319 8.754
P -1.248 -2.799 12.256
P 1.800 -2.480 8.754
P -1.800 2.480 12.256
P 1.248 2.799 8.754
P 3.047 0.319 12.256
O -3.450 -1.069 10.032
O -3.686 1.098 8.689
O -2.794 -2.643 12.321
O -0.800 -1.437 6.530
O -0.800 -3.522 10.979
O -1.501 -0.164 8.820
O 0.892 -3.741 8.689
O -0.845 1.411 6.530
O -2.651 2.454 10.979
O -0.609 -1.382 12.191
O 0.892 -1.218 8.820
O -1.644 -0.026 14.481
O 1.644 0.026 6.530
O -0.892 1.218 12.191
O 0.609 1.382 8.820
O 2.651 -2.454 10.032
O 0.845 -1.411 14.481
O -0.892 3.741 12.321
O 1.501 0.164 12.191
O 0.800 3.522 10.032
O 0.800 1.437 14.481
O 2.794 2.643 8.689
O 3.686 -1.098 12.321
O 3.450 1.069 10.979



[3]
5
Lattice="4.516 0.000 0.000 0.000 4.516 0.000 0.000 0.000 3.595" Properties=species:S:1:pos:R:3 comment="VCuP2O (PBE with a Hubbard U, relaxed)" spacegroup=P4/mmm relative_energy_ev_per_atom=0.6419 dft_energy_ev_per_atom=-4.626 rho_g_cm3=4.4 pbc="T T T"
V 0.000 0.000 0.000
Cu 2.258 2.258 1.798
P 0.000 2.258 1.798
P 2.258 0.000 1.798
O 2.258 2.258 0.000



[4]
5
Lattice="4.178 0.000 0.000 0.000 4.178 0.000 0.000 0.000 5.308" Properties=species:S:1:pos:R:3 comment="VCuP2O (PBE with a Hubbard U, relaxed)" spacegroup=P4/mmm relative_energy_ev_per_atom=0.7994 dft_energy_ev_per_atom=-4.469 rho_g_cm3=3.4 pbc="T T T"
V 0.000 0.000 0.000
Cu 0.000 0.000 2.654
P 0.000 2.089 2.654
P 2.089 0.000 2.654
O 2.089 2.089 0.000



[5]
5
Lattice="3.801 0.000 0.000 0.000 3.801 0.000 0.000 0.000 5.141" Properties=species:S:1:pos:R:3 comment="CuPWO2 (PBE with a Hubbard U, relaxed)" spacegroup=P4/mmm relative_energy_ev_per_atom=0.0000 dft_energy_ev_per_atom=-6.063 rho_g_cm3=6.9 pbc="T T T"
Cu 0.000 0.000 0.000
P 1.900 1.900 0.000
W 1.900 1.900 2.570
O 0.000 1.900 2.570
O 1.900 0.000 2.570



[6]
5
Lattice="3.764 0.000 0.000 0.000 3.764 0.000 0.000 0.000 4.766" Properties=species:S:1:pos:R:3 comment="CuPWO2 (PBE with a Hubbard U, relaxed)" spacegroup=P4/mmm relative_energy_ev_per_atom=1.0523 dft_energy_ev_per_atom=-5.011 rho_g_cm3=7.6 pbc="T T T"
Cu 0.000 0.000 0.000
P 0.000 0.000 2.383
W 1.882 1.882 2.383
O 0.000 1.882 0.000
O 1.882 0.000 0.000



Please write out number 1 again, unchanged.
5
____________
“I can see that.” She sounded exasperated, but not mad.
What comes next are records of crystals, not part of the entry.
********
Here is a relaxed PmTl2CuCl6 crystal from Alexandria. Energies are from PBE-GGA. Values from VASP.

Geometry as Quantum ESPRESSO input:
```
&SYSTEM
  ibrav = 0, nat = 10, ntyp = 4
/
ATOMIC_SPECIES
Pm 145.00 Pm.upf
Tl 204.38 Tl.upf
Cu 63.55 Cu.upf
Cl 35.45 Cl.upf
CELL_PARAMETERS angstrom
7.0772 -3.5745 0.0000
7.0772 3.5745 0.0000
-2.4996 0.0000 6.1093
ATOMIC_POSITIONS angstrom
Pm 0.0000 0.0000 0.0000
Tl 1.6536 0.0000 4.9006
Tl 10.0013 0.0000 1.2088
Cu 5.8274 0.0000 3.0547
Cl 2.0601 0.0000 1.7680
Cl 5.6188 1.6821 1.3428
Cl 6.0361 1.6821 4.7665
Cl 5.6188 -1.6821 1.3428
Cl 6.0361 -1.6821 4.7665
Cl 9.5948 0.0000 4.3413
```

## Properties
Symmetry = C2/m, No. 12
Fermi-level density of states = 0.000 states/eV per cell
Energy relative to the elements, uncorrected = -13.61 eV/f.u.

=====

Here is a relaxed PmTlCuCl5 crystal from Alexandria. Energies are from PBE-GGA. Values from VASP.

Geometry as Quantum ESPRESSO input:
```
&SYSTEM
  ibrav = 0, nat = 16, ntyp = 4
/
ATOMIC_SPECIES
Pm 145.00 Pm.upf
Tl 204.38 Tl.upf
Cu 63.55 Cu.upf
Cl 35.45 Cl.upf
CELL_PARAMETERS angstrom
4.4407 -6.0099 0.0000
4.4407 6.0099 0.0000
-4.0115 0.0000 9.3619
ATOMIC_POSITIONS angstrom
Pm 0.0000 0.0000 0.0000
Pm -2.0057 0.0000 4.6810
Tl 1.4321 1.7355 7.0214
Tl 3.4378 -1.7355 2.3405
Cu 3.4378 2.2849 2.3405
Cu 1.4321 -2.2849 7.0214
Cl 1.4321 5.0000 7.0214
Cl 1.9303 3.5742 3.5575
Cl 2.4975 0.8374 0.7176
Cl 4.9453 3.5742 1.1234
Cl 0.4917 -0.8374 5.3986
Cl 4.3782 0.8374 3.9634
Cl -0.0754 -3.5742 8.2385
Cl 2.3725 -0.8374 8.6443
Cl 2.9396 -3.5742 5.8044
Cl 3.4378 -5.0000 2.3405
```

## Properties
Symmetry = C2/c, No. 15
Fermi-level density of states = 0.000 states/eV per cell
Energy relative to the elements, uncorrected = -11.92 eV/f.u.

=====

Here is a relaxed PmTlCuCl6 crystal from Alexandria. Energies are from PBE-GGA. Values from VASP.

Geometry as Quantum ESPRESSO input:
```
&SYSTEM
  ibrav = 0, nat = 18, ntyp = 4
/
ATOMIC_SPECIES
Pm 145.00 Pm.upf
Tl 204.38 Tl.upf
Cu 63.55 Cu.upf
Cl 35.45 Cl.upf
CELL_PARAMETERS angstrom
6.7915 0.0000 0.0000
-3.3957 5.8816 0.0000
0.0000 0.0000 13.9206
ATOMIC_POSITIONS angstrom
Pm 0.0000 3.9211 3.4802
Pm 3.3957 1.9605 10.4405
Tl 0.0000 0.0000 0.0000
Tl 0.0000 0.0000 6.9603
Cu 0.0000 3.9211 10.4405
Cu 3.3957 1.9605 3.4802
Cl -1.1102 2.2600 8.9731
Cl -1.9936 3.7901 11.9079
Cl 1.1102 2.2600 11.9079
Cl -0.8834 5.7130 8.9731
Cl 2.5123 0.1686 2.0127
Cl 1.4021 2.0915 4.9476
Cl 1.9936 3.7901 8.9731
Cl 0.8834 5.7130 11.9079
Cl 4.2791 0.1686 4.9476
Cl 2.2855 3.6216 2.0127
Cl 5.3893 2.0915 2.0127
Cl 4.5059 3.6216 4.9476
```

## Properties
Symmetry = P-31c, No. 163
Fermi-level density of states = 12.016 states/eV per cell
Energy relative to the elements, uncorrected = -12.29 eV/f.u.

=====

Here is a relaxed PrCu2Cl6 crystal from Alexandria. Energies are from PBE-GGA. Values from VASP.

Geometry as Quantum ESPRESSO input:
```
&SYSTEM
  ibrav = 0, nat = 18, ntyp = 3
/
ATOMIC_SPECIES
Pr 140.91 Pr.upf
Cu 63.55 Cu.upf
Cl 35.45 Cl.upf
CELL_PARAMETERS angstrom
********
The records of crystals stop here.
I took it as a good sign. Her eyes shifted to the bouquet—my version of a grand public gesture.